The Isle of Arran: A search for pitchstone on Beinn Tarsuinn

Pitchstone is a volcanic glass which occurs across Arran. Pitchstone was used on the island from the Mesolithic to the Bronze Age, and also found across Scotland during the early Neolithic. Pitchstone artefacts have even been discovered on some of my own projects, so I was very keen to explore the landscapes from which it originates.

Unlike the Neolithic stone sources I am familiar with in the Lake District, no evidence remains of pitchstone quarrying. Geologists have discovered dozens of locations where it is accessible, but we don’t know precisely where prehistoric people gathered this distinctive raw material.

(Misplaced materials data)
........
The following is a DFT calculation (PBE) of crystalline Tb2TeAu at its relaxed geometry.

```
Tb2TeAu
1.0
-3.8811 -0.1241 -1.5197
-3.0496 -1.7877 2.2117
-3.8025 5.9592 3.5041
Te Au Tb
1 1 2
Direct
0.5000 0.5000 0.5000
0.0000 0.0000 0.0000
0.2565 0.2565 0.2297
0.7435 0.7435 0.7703
```

Properties
The value obtained for the total magnetization is 0.00 μB/cell. As for the formation energy without anion corrections: -1.056 eV/atom.

----------

# 1
Here is an optimized crystal structure of Er6CdSe4 from Alexandria via LeMat-Bulk. Energies are from PBE.

Summary:
E_form (uncorrected) in eV per atom: -1.2990

a = 4.0278 Å, b = 6.9390 Å, c = 20.5953 Å
α = 90.00°, β = 90.00°, γ = 106.87°
Last column: nearest neighbours and their distance in Å.
Fractional positions:
Er 0.5000 0.0000 0.5000  6 Se 2.78-2.85
Er 0.2305 0.4611 0.5915  5 Se 2.83-2.92
Er 0.0473 0.0945 0.3363  3 Se 2.84-2.87, 2 Cd 3.12
Er 0.5000 0.0000 0.0000  6 Se 2.78-2.85
Er 0.9527 0.9055 0.6637  3 Se 2.84-2.87, 2 Cd 3.12
Er 0.7695 0.5389 0.4085  5 Se 2.83-2.92
Er 0.6577 0.3155 0.7500  2 Se 2.78, 2 Cd 3.08
Er 0.3423 0.6845 0.2500  2 Se 2.78, 2 Cd 3.08
Er 0.2305 0.4611 0.9085  5 Se 2.83-2.92
Er 0.0473 0.0945 0.1637  3 Se 2.84-2.87, 2 Cd 3.12
Er 0.7695 0.5389 0.0915  5 Se 2.83-2.92
Er 0.9527 0.9055 0.8363  3 Se 2.84-2.87, 2 Cd 3.12
Cd 0.3332 0.6664 0.7500  6 Er 3.08-3.12
Cd 0.6668 0.3336 0.2500  6 Er 3.08-3.12
Se 0.1401 0.2801 0.4622  6 Er 2.85-2.92
Se 0.1401 0.2801 0.0378  6 Er 2.85-2.92
Se 0.4111 0.8222 0.3777  6 Er 2.78-2.84
Se 0.8599 0.7199 0.9622  6 Er 2.85-2.92
Se 0.4111 0.8222 0.1223  6 Er 2.78-2.84
Se 0.5889 0.1778 0.6223  6 Er 2.78-2.84
Se 0.8599 0.7199 0.5378  6 Er 2.85-2.92
Se 0.5889 0.1778 0.8777  6 Er 2.78-2.84

---

# 2
Here is an optimized crystal structure of Er6Te3P2C from Alexandria via LeMat-Bulk. Energies are from PBE.

Summary:
E_form (uncorrected) in eV per atom: -1.3142

a = 6.9313 Å, b = 6.9313 Å, c = 7.3056 Å
α = 99.08°, β = 99.08°, γ = 119.96°
Last column: nearest neighbours and their distance in Å.
Fractional positions:
Te 0.1736 0.8264 0.5000  6 Er 3.06-3.19
Te 0.8264 0.1736 0.5000  6 Er 3.06-3.19
Te 0.5000 0.5000 0.5000  6 Er 3.05-3.21
Er 0.7598 0.7598 0.2052  1 C 2.57, 2 P 2.78
Er 0.2402 0.2402 0.7948  1 C 2.57, 2 P 2.78
Er 0.6255 0.9338 0.8008  1 C 2.54, 2 P 2.77-2.78
Er 0.3745 0.0662 0.1992  1 C 2.54, 2 P 2.77-2.78
Er 0.0662 0.3745 0.1992  1 C 2.54, 2 P 2.77-2.78
Er 0.9338 0.6255 0.8008  1 C 2.54, 2 P 2.77-2.78
P 0.3342 0.6658 0.0000  6 Er 2.77-2.78
P 0.6658 0.3342 0.0000  6 Er 2.77-2.78
C 0.0000 0.0000 0.0000  6 Er 2.54-2.57

----------

Below is a relaxed MgTa2Ir crystal, with properties calculated at the GGA-PBEsol level.

abc: 5.154 5.154 5.154
angles: 135.59 135.59 64.62
Positions (direct):
1 Mg 0.000 0.000 0.000
2 Ta 0.500 0.500 0.000
3 Ta 0.750 0.250 0.500
4 Ir 0.250 0.750 0.500

Values from the calculation:
Its energy of formation from the pure elements is 0.03 eV/atom. The symmetry is I-4m2, No. 119.

----------

(1)
## CaCu2Ru (PBEsol)
........
(End of the materials data)

I decide to visit a variety of pitchstone locations. Drawing upon my Lake District experience, where Neolithic people visited the highest mountains to obtain rock, the first I visited was high on the mountains in the north of Arran.

I started this walk near Brodick, and climbed rapidly on faint paths towards the peak of Beinn Nuis.

Above: Near the summit of Beinn Nuis, looking towards Brodick and the Scottish mainland beyond (Photo: Aaron Watson)


Above: On the ridge to Beinn Tarsuinn (Photo: Aaron Watson)


Above: Striking layered granite tower, with Goatfell beyond (Photo: Aaron Watson)


As I neared the location of the pitchstone, the rock scenery became increasingly dramatic. Approaching along the ridge from the south, one rock formation in particular first appeared as a precarious stack of enormous granite blocks. From the side, it unexpectedly adopted the form of a human head. It is a widely known feature known as the Old Man of Tarsuinn.


Above: Two views of the Old Man of Tarsuinn (Photos: Aaron Watson)


The Old Man of Tarsuinn presides over the place I am seeking. A steep and rather forbidding slope is a location where porphyritic pitchstone occurs. I begin to find rocks which were quite distinct to the surrounding granite.


Above: I begin to find unfamiliar and dark coloured rocks which sparkle in the sunlight (Photos: Aaron Watson)


I did not need to understand the chemical processes involved in pitchstone formation to recognise the something distinct was happening to geology on this mountainside. Soon I began to find fragments of fractured pitchstone that confirmed that I was in the right location.


Above: Blocks of fractured pitchstone on the mountainside (Photo: Aaron Watson)


Above: A piece of porphyritic pitchstone found near Beinn Tarsuinn (Photo: Aaron Watson)


While it is unknown whether prehistoric people visited this source of pitchstone, the location had many characteristics which reminded me of the Neolithic. The mountains are covered in extraordinary rock formations which frequently look like built monuments. This is also a spectacular and precarious location - precisely the kind of setting which people visited when quarrying stone in the Lake District.


Above: The spectacular setting of the pitchstone near Beinn Tarsuinn (Photo: Aaron Watson)


Above: Rock scenery viewed from the Beinn Tarsuinn ridge (Photo: Aaron Watson)


The Isle of Arran: Three Neolithic chambered cairns


The Isle of Arran: Ardrossan to Machrie Moor